*The following is excerpted from an online article posted on PsychCentral.

New research suggests there is more to helping kids become successful than pushing them to be involved in a multitude of activities and to score at the top of their class. In short, being a Tiger mom may be a little short-sighted.

The Arizona State study finds obsession over grades and extracurricular activities for young schoolchildren could be counterproductive, especially if such ambitions come at the expense of social skills and kindness.

Between two parts of the text: materials data
- - -
No. 1
SrMoPS2 PBE-GGA optimized geometry; total magnetic moment = 1.9 μB/cell; volume = 32.2 Å³ per atom; mass density = 2871 kg/m³
1.0
-1.8077 -1.9380 -4.7309
0.1141 -5.0320 2.0177
-5.1661 0.5792 1.7367
S Mo Sr P
2 1 1 1
direct
0.0000 0.5000 0.0000
0.5000 0.0000 0.0000
0.5000 0.5000 0.5000
0.0000 0.0000 0.0000
0.0000 0.0000 0.5000

---

No. 2
SrMoPS2 PBE-GGA optimized geometry; total magnetic moment = 0.0 μB/cell; volume = 21.9 Å³ per atom; mass density = 4227 kg/m³
1.0
4.8130 0.0000 0.0000
0.0000 4.8130 0.0000
0.0000 0.0000 4.7258
S P Sr Mo
2 1 1 1
direct
0.0000 0.5000 0.0000
0.5000 0.0000 0.0000
0.0000 0.0000 0.5000
0.5000 0.5000 0.5000
0.0000 0.0000 0.0000

---

No. 3
TcMoPS2 PBE-GGA optimized geometry; total magnetic moment = 0.0 μB/cell; volume = 18.7 Å³ per atom; mass density = 5121 kg/m³
1.0
-3.8470 2.3703 -0.2568
-2.0469 -3.5335 -1.9513
-1.2359 -1.5595 4.1204
S Tc Mo P
2 1 1 1
direct
0.0000 0.5000 0.0000
0.5000 0.0000 0.0000
0.0000 0.0000 0.0000
0.5000 0.5000 0.5000
0.0000 0.0000 0.5000

---

No. 4
TcMoPS2 PBE-GGA optimized geometry; total magnetic moment = 4.3 μB/cell; volume = 20.7 Å³ per atom; mass density = 4641 kg/m³
1.0
4.5843 0.0000 0.0000
0.0000 4.5843 0.0000
0.0000 0.0000 4.9207
P Tc S Mo
1 1 2 1
direct
0.0000 0.0000 0.5000
0.5000 0.5000 0.5000
0.5000 0.0000 0.0000
0.0000 0.5000 0.0000
0.0000 0.0000 0.0000

---

Quick rundown of ΔE_f (raw), same order as above: 1.246; -0.678; 1.039; 0.832 eV per atom

----------

Record 1
# Sc2TlI6 (GGA-PBE, optimized geometry)
# - symmetry = P-31m
# - V (Å³/cell) = 385
# - spin magnetization (Bohr magnetons per cell) = 1.06
# - density (Mg/m³) = 4.5
# - ΔE_f (raw) (eV per atom) = -1.053
data_Sc2TlI6
_chemical_formula_sum 'Sc2 Tl1 I6'
_space_group_name_H-M_alt 'P 1'
_space_group_IT_number 1
_cell_length_a 7.9821
_cell_length_b 7.4669
_cell_length_c 7.4669
_cell_angle_alpha 120.00
_cell_angle_beta 90.00
_cell_angle_gamma 90.00
loop_
_space_group_symop_operation_xyz
'x,y,z'
loop_
_atom_site_label
_atom_site_type_symbol
_atom_site_fract_x
_atom_site_fract_y
_atom_site_fract_z
Sc1 Sc 0.5000 0.6667 0.3333
Sc2 Sc 0.5000 0.3333 0.6667
Tl1 Tl 0.0000 0.0000 0.0000
I1 I 0.7138 0.6390 0.6390
I2 I 0.2862 0.6390 0.0000
I3 I 0.2862 0.0000 0.6390
I4 I 0.7138 0.3610 0.0000
I5 I 0.2862 0.3610 0.3610
I6 I 0.7138 0.0000 0.3610

---

Record 2
# MgSiTe2I (GGA-PBE, optimized geometry)
# - symmetry = P4/mmm
# - V (Å³/cell) = 156
# - spin magnetization (Bohr magnetons per cell) = 0.00
# - energy relative to the lowest polymorph listed for this composition (eV/f.u.) = 0.00
# - density (Mg/m³) = 4.6
# - ΔE_f (raw) (eV per atom) = 0.192
data_MgSiTe2I
_chemical_formula_sum 'Mg1 Si1 Te2 I1'
_space_group_name_H-M_alt 'P 1'
_space_group_IT_number 1
_cell_length_a 5.3436
_cell_length_b 5.3436
_cell_length_c 5.4802
_cell_angle_alpha 90.00
_cell_angle_beta 90.00
_cell_angle_gamma 90.00
loop_
_space_group_symop_operation_xyz
'x,y,z'
loop_
_atom_site_label
_atom_site_type_symbol
_atom_site_fract_x
_atom_site_fract_y
- - -

Researchers discovered a fixation on grades and involvement in excessive activities can work against helping kids become well-adjusted and successful later in life.

**Between two parts of the article: calculated crystals**
'''
Entry 1:
## Ta2CrW (PBE)

Data for crystalline Ta2CrW at its relaxed geometry.

E   -46.11 eV/f.u.
Formation energy from the elements   0.04 eV per atom
Magnetization   0.0 μB per formula unit

Lattice parameters (Å, degrees): 2.8049 2.8049 8.7201 90.00 90.00 110.01
With the nearest neighbours (Å) after each atom.
Sites, in units of the cell vectors:
1 Cr 0.5000 0.5000 0.7500  4 Ta 2.61, 4 Cr 2.80
2 Ta 0.0000 0.0000 0.9860  2 Cr 2.61, 4 Ta 2.80, 2 W 2.81
3 Ta 0.0000 0.0000 0.5140  2 Cr 2.61, 4 Ta 2.80, 2 W 2.81
4 W 0.5000 0.5000 0.2500  4 W 2.80, 4 Ta 2.81

---

Entry 2:
## TaCr2W (PBE)

Data for crystalline TaCr2W at its relaxed geometry.

E   -43.70 eV/f.u.
E above lowest polymorph   0.516 eV/f.u.
Formation energy from the elements   0.09 eV per atom
Magnetization   0.0 μB per formula unit

Lattice parameters (Å, degrees): 2.7110 2.7110 8.4352 90.00 90.00 110.37
With the nearest neighbours (Å) after each atom.
Sites, in units of the cell vectors:
1 Cr 0.0000 0.0000 0.0154  2 Cr 2.38, 2 W 2.60
2 Cr 0.5000 0.5000 0.2297  2 Cr 2.38, 2 Ta 2.66
3 Ta 0.0000 0.0000 0.4867  2 Cr 2.66, 4 Ta 2.71, 2 W 2.84
4 W 0.5000 0.5000 0.7683  2 Cr 2.60, 4 W 2.71, 2 Ta 2.84

---

Entry 3:
## Ta3CrW4 (PBE)

Data for crystalline Ta3CrW4 at its relaxed geometry.

E   -97.33 eV/f.u.
Formation energy from the elements   -0.04 eV per atom
Magnetization   0.0 μB per formula unit

Lattice parameters (Å, degrees): 3.1926 3.1926 12.8049 90.00 90.00 90.00
With the nearest neighbours (Å) after each atom.
Sites, in units of the cell vectors:
1 Cr 0.5000 0.5000 0.0000  8 W 2.69
2 W 0.0000 0.0000 0.8856  4 Cr 2.69, 4 Ta 2.80, 1 W 2.93
3 W 0.0000 0.0000 0.1144  4 Cr 2.69, 4 Ta 2.80, 1 W 2.93
4 W 0.0000 0.0000 0.3711  8 Ta 2.78-2.80
5 W 0.0000 0.0000 0.6289  8 Ta 2.78-2.80
6 Ta 0.5000 0.5000 0.2441  8 W 2.78-2.80
7 Ta 0.5000 0.5000 0.5000  8 W 2.80
8 Ta 0.5000 0.5000 0.7559  8 W 2.78-2.80

---

Entry 4:
## Ta3CrW (PBE)

Data for crystalline Ta3CrW at its relaxed geometry.

E   -48.05 eV/f.u.
E above lowest polymorph   3.904 eV/f.u.
Formation energy from the elements   2.02 eV per atom
Magnetization   0.1 μB per formula unit

Lattice parameters (Å, degrees): 4.8222 4.8222 4.8222 90.00 90.00 90.00
With the nearest neighbours (Å) after each atom.
Sites, in units of the cell vectors:
1 Cr 0.5000 0.5000 0.5000  12 Ta 3.41
2 W 0.0000 0.0000 0.0000  6 Ta 2.41
3 Ta 0.0000 0.5000 0.0000  2 W 2.41
4 Ta 0.0000 0.0000 0.5000  2 W 2.41
5 Ta 0.5000 0.0000 0.0000  2 W 2.41

---

Entry 5:
## YTa2Cr (PBE)

Data for crystalline YTa2Cr at its relaxed geometry.

E   -37.81 eV/f.u.
E above lowest polymorph   0.857 eV/f.u.
Formation energy from the elements   0.49 eV per atom
Magnetization   2.3 μB per formula unit

Lattice parameters (Å, degrees): 3.3426 5.0206 4.6339 89.96 90.00 90.00
With the nearest neighbours (Å) after each atom.
Sites, in units of the cell vectors:
1 Cr 0.0000 0.5000 0.5000  4 Y 2.86, 4 Ta 3.02
2 Ta 0.0000 0.0000 0.0000  4 Ta 2.86, 4 Y 3.02
'''

“When parents emphasize children’s achievement much more than their compassion and decency during the formative years, they are sowing the seeds of stress and poorer well-being, seen as early as sixth grade,” said Suniya Luthar, one of the co-authors of the study.

“In order to foster well-being and academic success during the critical years surrounding early adolescence, our findings suggest that parents should accentuate kindness and respect for others at least as much as (or more than) stellar academic performance and extracurricular accolades.”

The study, “When mothers and fathers are seen as disproportionately valuing achievements: Implications for adjustment among upper middle class youth,” appears in the early online edition of the Journal of Youth and Adolescence. Luthar co-authored the study with Lucia Ciciolla of Oklahoma State University, Alexandria Curlee, an Arizona State University doctoral student, and Jason Karageorge, a psychologist in private practice in San Francisco.

The authors tried to determine if there were differences in how children were doing psychologically and academically, depending on their parents’ values.

Specifically, Luthar said that the best outcomes were among children who perceived their mothers and fathers as each valuing kindness toward others as much as, or more than, achievements.

Much poorer outcomes were seen among children who perceived either mothers or fathers valuing their achievements more highly than they valued being kind to others. These youth experienced more internalizing symptoms, such as depression and anxiety, externalizing or acting out behaviors and lower self-esteem, as well as more parental criticism.

And paradoxically given their parents high emphases on achievements, these students also had lower GPAs, and were reported by teachers to have more learning problems and disruptive behavior at school.

The findings demonstrate the value of being socially oriented, Luthar said. “It is beneficial for kids to be strongly connected with their social networks, whereas focusing too much on external validations (such as grades, extra-curricular honors) for their sense of self-worth can lead to greater insecurity, anxiety, and overall distress.”

Calculated crystals that have nothing to do with the piece.
=====
## Na6Tl5In (PBE)

Data for a relaxed structure of Na6Tl5In.

Cell lengths 4.576, 9.815, 9.292 Å; angles 122.04, 103.94, 90.07 degrees
Positions (direct):
Tl (0.660, 0.159, 0.319)
Tl (0.340, 0.841, 0.681)
Tl (0.000, 0.500, 0.000)
Na (0.500, 0.252, 0.000)
Na (0.833, 0.083, 0.666)
Tl (0.668, 0.668, 0.335)
Na (0.167, 0.917, 0.334)
Na (0.500, 0.748, 0.000)
Na (0.167, 0.417, 0.334)
Na (0.833, 0.583, 0.666)
Tl (0.332, 0.332, 0.665)
In (0.000, 0.000, 0.000)

DFT total energy (eV per atom): -1.971
Formation energy from the elements (kJ per mole of atoms): -9.42

---

## Na6Tl12In (PBE)

Data for a relaxed structure of Na6Tl12In.

Cell lengths 8.249, 8.249, 8.249 Å; angles 91.66, 91.66, 91.66 degrees
Positions (direct):
Tl (0.792, 0.533, 0.452)
Tl (0.548, 0.208, 0.467)
Na (0.722, 0.884, 0.265)
Tl (0.208, 0.467, 0.548)
Tl (0.467, 0.548, 0.208)
In (0.000, 0.000, 0.000)
Tl (0.148, 0.371, 0.039)
Na (0.884, 0.265, 0.722)
Na (0.265, 0.722, 0.884)
Tl (0.629, 0.961, 0.852)
Na (0.278, 0.116, 0.735)
Na (0.116, 0.735, 0.278)
Tl (0.961, 0.852, 0.629)
Tl (0.371, 0.039, 0.148)
Tl (0.039, 0.148, 0.371)
Na (0.735, 0.278, 0.116)
Tl (0.852, 0.629, 0.961)
Tl (0.533, 0.452, 0.792)
Tl (0.452, 0.792, 0.533)

DFT total energy (eV per atom): -2.121
Formation energy from the elements (kJ per mole of atoms): -6.35
Polymorph energy (0 for the lowest one) (meV per atom): 14

---

## Na6Tl3In (PBE)

Data for a relaxed structure of Na6Tl3In.

Cell lengths 5.535, 9.214, 11.951 Å; angles 108.78, 90.00, 90.00 degrees
Positions (direct):
Tl (0.750, 0.811, 0.357)
Na (0.750, 0.213, 0.477)
Na (0.250, 0.404, 0.934)
In (0.250, 0.412, 0.441)
Na (0.750, 0.426, 0.275)
Tl (0.250, 0.804, 0.041)
Na (0.750, 0.596, 0.066)
Na (0.250, 0.220, 0.141)
Na (0.750, 0.993, 0.660)
Tl (0.750, 0.385, 0.767)
Tl (0.750, 0.196, 0.959)
Na (0.250, 0.787, 0.523)
Na (0.250, 0.007, 0.340)
Tl (0.250, 0.615, 0.233)
Na (0.750, 0.996, 0.152)
Na (0.250, 0.004, 0.848)
Na (0.250, 0.574, 0.725)
In (0.750, 0.588, 0.559)
Na (0.750, 0.780, 0.859)
Tl (0.250, 0.189, 0.643)

DFT total energy (eV per atom): -1.873
Formation energy from the elements (kJ per mole of atoms): -9.48
Polymorph energy (0 for the lowest one) (meV per atom): 0

---

## Na4Tl2In5 (PBE)

Data for a relaxed structure of Na4Tl2In5.

Cell lengths 7.015, 6.272, 8.383 Å; angles 68.03, 70.36, 90.00 degrees
Positions (direct):
In (0.112, 0.673, 0.132)
Na (0.489, 0.611, 0.778)
Tl (0.698, 0.835, 0.330)
In (0.112, 0.195, 0.132)
Tl (0.302, 0.165, 0.670)
In (0.888, 0.805, 0.868)
Na (0.181, 0.761, 0.477)
In (0.500, 0.000, 0.000)
Na (0.819, 0.239, 0.523)
In (0.888, 0.327, 0.868)
Na (0.511, 0.389, 0.222)

DFT total energy (eV per atom): -2.248
Formation energy from the elements (kJ per mole of atoms): -9.01
Polymorph energy (0 for the lowest one) (meV per atom): 0

---

## NaTl6In8 (PBE)

Data for a relaxed structure of NaTl6In8.

Cell lengths 13.571, 13.571, 13.571 Å; angles 26.17, 26.17, 26.17 degrees
Positions (direct):
Tl (0.401, 0.734, 0.067)
In (0.667, 0.667, 0.667)
=====

What was surprising in the study, Ciciolla said, was how strongly children’s psychological and academic performance, consistently across a number of different measures, were tied to what children believed their parents cared most about.

And it did not matter much whether both parents or either parent were thought to more highly value achievement than kindness to others — having disproportionate emphasis on achievement coming from either parent was generally harmful.

It was also surprising, she said, that children who viewed their parents as valuing kindness to others much more highly than achievement did not appear to be suffering academically.

“It seems that emphasizing kindness as a top priority may not take the spotlight off achievement, because we found that these children did very well over all, including in their academics,” Ciciolla explained.

Source: PsychCentral

Source: Home Word